Request:
Retype the lines underneath from the one with "TbNd2NpO8: theoretical" to the one with "26.54" verbatim.
Listing:
____________
# 1
Rb4Nd3NpO8: theoretical powder X-ray diffraction pattern (Cu Kα), based on a GGA-PBE-relaxed structure.

Top 10 peaks for 2θ = 5–70°, in order of falling intensity:
2theta  d_spacing  Rel. int.
33.62  2.666  100
29.66  3.012  85
26.95  3.308  40
46.54  1.952  36
13.38  6.616  34
49.98  1.825  33
57.70  1.598  30
54.60  1.681  20
61.59  1.506  17
59.20  1.561  13

Atomic structure:
abc: 7.8439 7.8439 7.8439
angles: 55.46 55.46 55.46
Element x y z (fractional)
Rb 0.0000 0.0000 0.0000
Rb 0.0000 0.5000 0.5000
Rb 0.5000 0.0000 0.5000
Rb 0.5000 0.5000 0.0000
Nd 0.0000 0.0000 0.5000
Nd 0.0000 0.5000 0.0000
Nd 0.5000 0.0000 0.0000
Np 0.5000 0.5000 0.5000
O 0.2268 0.2268 0.2268
O 0.2358 0.7219 0.7219
O 0.2781 0.2781 0.7642
O 0.2781 0.7642 0.2781
O 0.7219 0.2358 0.7219
O 0.7219 0.7219 0.2358
O 0.7642 0.2781 0.2781
O 0.7732 0.7732 0.7732



# 2
TbNd2NpO8: theoretical powder X-ray diffraction pattern (Cu Kα), based on a GGA-PBE-relaxed structure.

Top 10 peaks for 2θ = 5–70°, in order of falling intensity:
2theta  d_spacing  Rel. int.
28.54  3.128  100
26.78  3.329  59
28.88  3.092  49
48.06  1.893  48
32.82  2.728  46
45.40  1.998  39
32.36  2.767  24
46.20  1.965  18
54.01  1.698  17
55.39  1.659  16

Atomic structure:
abc: 3.9418 7.5827 5.5507
angles: 90.00 94.49 90.00
Element x y z (fractional)
Tb 0.0000 0.0000 0.0000
Nd 0.5000 0.2424 0.5000
Nd 0.5000 0.7576 0.5000
Np 0.0000 0.5000 0.0000
O 0.0331 0.2798 0.7711
O 0.0331 0.7202 0.7711
O 0.4455 0.5000 0.2160
O 0.4963 0.0000 0.2465
O 0.5037 0.0000 0.7535
O 0.5545 0.5000 0.7840
O 0.9669 0.2798 0.2289
O 0.9669 0.7202 0.2289



# 3
Nd5NpP6: theoretical powder X-ray diffraction pattern (Cu Kα), based on a GGA-PBE-relaxed structure.

Top 10 peaks for 2θ = 5–70°, in order of falling intensity:
2theta  d_spacing  Rel. int.
30.63  2.919  100
26.44  3.371  86
43.86  2.064  74
51.94  1.760  43
54.44  1.685  26
63.76  1.460  12
14.96  5.922  2
16.79  5.281  2
13.13  6.740  2
19.47  4.560  1

Atomic structure:
abc: 7.1508 7.1508 7.1496
angles: 99.60 99.60 119.99
Element x y z (fractional)
Nd 0.0000 0.0000 0.0000
Nd 0.1661 0.8339 0.5000
Nd 0.3312 0.6688 0.0000
Nd 0.6688 0.3312 0.0000
Nd 0.8339 0.1661 0.5000
Np 0.5000 0.5000 0.5000
P 0.0971 0.4191 0.2568
P 0.2597 0.2597 0.7431
P 0.4191 0.0971 0.2568
P 0.5809 0.9029 0.7432
P 0.7403 0.7403 0.2569
P 0.9029 0.5809 0.7432



# 4
NdNp2P3: theoretical powder X-ray diffraction pattern (Cu Kα), based on a GGA-PBE-relaxed structure.

Top 10 peaks for 2θ = 5–70°, in order of falling intensity:
2theta  d_spacing  Rel. int.
27.13  3.286  100
31.43  2.846  97
45.05  2.013  72
53.38  1.716  50
55.96  1.643  25
65.60  1.423  12
13.96  6.343  5
22.85  3.891  2
17.22  5.150  1
26.22  3.399  1

Atomic structure:
abc: 13.3456 12.7235 6.9733
angles: 79.48 69.61 30.91
Element x y z (fractional)
Nd 0.0419 0.0419 0.2081
Nd 0.2081 0.2081 0.0419
Nd 0.7919 0.7919 0.9581
Nd 0.9581 0.9581 0.7919
Np 0.1237 0.1237 0.6263
Np 0.2904 0.2904 0.4596
Np 0.3737 0.3737 0.8763
Np 0.4596 0.4596 0.2904
Np 0.5404 0.5404 0.7096
Np 0.6263 0.6263 0.1237
Np 0.7096 0.7096 0.5404
Np 0.8763 0.8763 0.3737
P 0.0437 0.5444 0.2185
P 0.1382 0.6118 0.6118
P 0.2185 0.6934 0.0437
P 0.3066 0.7815 0.4556
P 0.3882 0.8618 0.8618
P 0.4556 0.9563 0.3066
P 0.5444 0.0437 0.6934
P 0.6118 0.1382 0.1382
P 0.6934 0.2185 0.5444
P 0.7815 0.3066 0.9563
P 0.8618 0.3882 0.3882
P 0.9563 0.4556 0.7815



# 5
Nd2ThNpP4: theoretical powder X-ray diffraction pattern (Cu Kα), based on a GGA-PBE-relaxed structure.

Top 10 peaks for 2θ = 5–70°, in order of falling intensity:
2theta  d_spacing  Rel. int.
30.74  2.909  100
26.54  3.359  97
43.99  2.058  50
52.11  1.755  29
44.09  2.054  25
52.19  1.753  20
54.70  1.678  20
64.02  1.454  12
13.15  6.732  9
54.52  1.683  7

Atomic structure:
abc: 7.1129 4.1116 7.1388
angles: 90.00 109.44 90.00
Element x y z (fractional)
Nd 0.0000 0.0000 0.0000
Nd 0.5000 0.5000 0.0000
Th 0.0000 0.5000 0.5000
Np 0.5000 0.0000 0.5000
P 0.2528 0.0000 0.7424
P 0.2601 0.5000 0.2622
P 0.7399 0.5000 0.7378
____________
Solution:
TbNd2NpO8: theoretical powder X-ray diffraction pattern (Cu Kα), based on a GGA-PBE-relaxed structure.

Top 10 peaks for 2θ = 5–70°, in order of falling intensity:
2theta  d_spacing  Rel. int.
28.54  3.128  100
26.78  3.329  59
28.88  3.092  49
48.06  1.893  48
32.82  2.728  46
45.40  1.998  39
32.36  2.767  24
46.20  1.965  18
54.01  1.698  17
55.39  1.659  16

Atomic structure:
abc: 3.9418 7.5827 5.5507
angles: 90.00 94.49 90.00
Element x y z (fractional)
Tb 0.0000 0.0000 0.0000
Nd 0.5000 0.2424 0.5000
Nd 0.5000 0.7576 0.5000
Np 0.0000 0.5000 0.0000
O 0.0331 0.2798 0.7711
O 0.0331 0.7202 0.7711
O 0.4455 0.5000 0.2160
O 0.4963 0.0000 0.2465
O 0.5037 0.0000 0.7535
O 0.5545 0.5000 0.7840
O 0.9669 0.2798 0.2289
O 0.9669 0.7202 0.2289



# 3
Nd5NpP6: theoretical powder X-ray diffraction pattern (Cu Kα), based on a GGA-PBE-relaxed structure.

Top 10 peaks for 2θ = 5–70°, in order of falling intensity:
2theta  d_spacing  Rel. int.
30.63  2.919  100
26.44  3.371  86
43.86  2.064  74
51.94  1.760  43
54.44  1.685  26
63.76  1.460  12
14.96  5.922  2
16.79  5.281  2
13.13  6.740  2
19.47  4.560  1

Atomic structure:
abc: 7.1508 7.1508 7.1496
angles: 99.60 99.60 119.99
Element x y z (fractional)
Nd 0.0000 0.0000 0.0000
Nd 0.1661 0.8339 0.5000
Nd 0.3312 0.6688 0.0000
Nd 0.6688 0.3312 0.0000
Nd 0.8339 0.1661 0.5000
Np 0.5000 0.5000 0.5000
P 0.0971 0.4191 0.2568
P 0.2597 0.2597 0.7431
P 0.4191 0.0971 0.2568
P 0.5809 0.9029 0.7432
P 0.7403 0.7403 0.2569
P 0.9029 0.5809 0.7432



# 4
NdNp2P3: theoretical powder X-ray diffraction pattern (Cu Kα), based on a GGA-PBE-relaxed structure.

Top 10 peaks for 2θ = 5–70°, in order of falling intensity:
2theta  d_spacing  Rel. int.
27.13  3.286  100
31.43  2.846  97
45.05  2.013  72
53.38  1.716  50
55.96  1.643  25
65.60  1.423  12
13.96  6.343  5
22.85  3.891  2
17.22  5.150  1
26.22  3.399  1

Atomic structure:
abc: 13.3456 12.7235 6.9733
angles: 79.48 69.61 30.91
Element x y z (fractional)
Nd 0.0419 0.0419 0.2081
Nd 0.2081 0.2081 0.0419
Nd 0.7919 0.7919 0.9581
Nd 0.9581 0.9581 0.7919
Np 0.1237 0.1237 0.6263
Np 0.2904 0.2904 0.4596
Np 0.3737 0.3737 0.8763
Np 0.4596 0.4596 0.2904
Np 0.5404 0.5404 0.7096
Np 0.6263 0.6263 0.1237
Np 0.7096 0.7096 0.5404
Np 0.8763 0.8763 0.3737
P 0.0437 0.5444 0.2185
P 0.1382 0.6118 0.6118
P 0.2185 0.6934 0.0437
P 0.3066 0.7815 0.4556
P 0.3882 0.8618 0.8618
P 0.4556 0.9563 0.3066
P 0.5444 0.0437 0.6934
P 0.6118 0.1382 0.1382
P 0.6934 0.2185 0.5444
P 0.7815 0.3066 0.9563
P 0.8618 0.3882 0.3882
P 0.9563 0.4556 0.7815



# 5
Nd2ThNpP4: theoretical powder X-ray diffraction pattern (Cu Kα), based on a GGA-PBE-relaxed structure.

Top 10 peaks for 2θ = 5–70°, in order of falling intensity:
2theta  d_spacing  Rel. int.
30.74  2.909  100
26.54  3.359  97